Business Support
South Ayrshire Council offers a range of support designed to help local businesses start and grow:
- AMBITION programme
- Business Gateway
- Community Wealth Building
- Supplier Development Programme
- Business Beat e-newsletter
For the latest updates, follow Thriving Economy South Ayrshire on Facebook and Linked In.
AMBITION Programme
Our AMBITION programme supports job creation in South Ayrshire. It's for you if you aspire to be your own boss, are currently setting up a new venture or are an established business looking to grow.
AMBITION has been specially designed to work alongside your business, providing the right support at the right time - whether you've just got an idea but need help in bringing it to market, are in the early stages of trading, or have a growth project to make your business more competitive, productive or sustainable.
Whatever your ambition, we'll share it with you and help you achieve success. See what AMBITION can do for you - visit the AMBITION programme website.
Business Gateway
Through our Business Gateway service, our in-house team of Advisers can offer practical information, help and advice to existing South Ayrshire businesses or people planning on starting a business in South Ayrshire, including details on business support funding.
To arrange an appointment, call 01292 616 349. Office hours are: Monday - Thursday, 9.00am to 4.45pm; Friday 9.00am to 4.00pm.
The Business Gateway national website has a vast range of useful information.
If you're thinking about starting a business, visit
Community Wealth Building
Community Wealth Building (CWB) is a place-based approach to local economic development, which redirects wealth back into the local economy, and places control and benefits into the hands of local people.
This approach harnesses existing resources to support the local economy: procurement; employment; land and assets; financial power; and plural ownership of the economy.
Ayrshire is the first region in Scotland to adopt a place-based approach to Community Wealth Building. The Ayrshire Growth Deal Community Wealth Building Programme includes:
Attached: records of crystals:
********
[1]
Ti2RuRh2: optimized geometry, GGA-PBE.

```
data_Ti2RuRh2
_chemical_formula_sum 'Ti4 Ru2 Rh4'
_cell_length_a 7.2100
_cell_length_b 7.2100
_cell_length_c 2.9275
_cell_angle_alpha 90.00
_cell_angle_beta 90.00
_cell_angle_gamma 90.00
_space_group_name_H-M_alt 'P 1'
_space_group_IT_number 1
_space_group_name_Hall 'P 1'
loop_
_atom_site_label
_atom_site_type_symbol
_atom_site_fract_x
_atom_site_fract_y
_atom_site_fract_z
Ru1 Ru 0.0000 0.0000 0.0000
Ru2 Ru 0.5000 0.5000 0.0000
Rh1 Rh 0.3669 0.8669 0.0000
Rh2 Rh 0.8669 0.6331 0.0000
Rh3 Rh 0.6331 0.1331 0.0000
Rh4 Rh 0.1331 0.3669 0.0000
Ti1 Ti 0.1691 0.6691 0.5000
Ti2 Ti 0.6691 0.8309 0.5000
Ti3 Ti 0.8309 0.3309 0.5000
Ti4 Ti 0.3309 0.1691 0.5000
```

## Properties
E above lowest polymorph	0.011	eV per atom
symmetry	P4/mbm (127)

***

[2]
TiRuRh2: optimized geometry, GGA-PBE.

```
data_TiRuRh2
_chemical_formula_sum 'Ti1 Ru1 Rh2'
_cell_length_a 4.3655
_cell_length_b 2.7837
_cell_length_c 4.7285
_cell_angle_alpha 90.00
_cell_angle_beta 90.00
_cell_angle_gamma 90.00
_space_group_name_H-M_alt 'P 1'
_space_group_IT_number 1
_space_group_name_Hall 'P 1'
loop_
_atom_site_label
_atom_site_type_symbol
_atom_site_fract_x
_atom_site_fract_y
_atom_site_fract_z
Ru1 Ru 0.0000 0.0000 0.6766
Rh1 Rh 0.5000 0.5000 0.5355
Rh2 Rh 0.0000 0.5000 0.1778
Ti1 Ti 0.5000 0.0000 0.0269
```

## Properties
symmetry	Pmm2 (25)
total energy	-8.39	eV per atom

***

[3]
TiRuRh2: optimized geometry, GGA-PBE.

```
data_TiRuRh2
_chemical_formula_sum 'Ti1 Ru1 Rh2'
_cell_length_a 5.4653
_cell_length_b 2.7793
_cell_length_c 3.7984
_cell_angle_alpha 90.00
_cell_angle_beta 90.00
_cell_angle_gamma 90.00
_space_group_name_H-M_alt 'P 1'
_space_group_IT_number 1
_space_group_name_Hall 'P 1'
loop_
_atom_site_label
_atom_site_type_symbol
_atom_site_fract_x
_atom_site_fract_y
_atom_site_fract_z
Ru1 Ru 0.0000 0.0000 0.0000
Rh1 Rh 0.2455 0.5000 0.5000
Rh2 Rh 0.7545 0.5000 0.5000
Ti1 Ti 0.5000 0.0000 0.0000
```

## Properties
symmetry	Pmmm (47)
total energy	-8.34	eV per atom

***

[4]
TiRu3Rh: optimized geometry, GGA-PBE.

```
data_TiRu3Rh
_chemical_formula_sum 'Ti1 Ru3 Rh1'
_cell_length_a 4.4285
_cell_length_b 4.4285
_cell_length_c 4.4285
_cell_angle_alpha 90.00
_cell_angle_beta 90.00
_cell_angle_gamma 90.00
_space_group_name_H-M_alt 'P 1'
_space_group_IT_number 1
_space_group_name_Hall 'P 1'
loop_
_atom_site_label
_atom_site_type_symbol
_atom_site_fract_x
_atom_site_fract_y
_atom_site_fract_z
Ru1 Ru 0.0000 0.5000 0.0000
Ru2 Ru 0.0000 0.0000 0.5000
Ru3 Ru 0.5000 0.0000 0.0000
Rh1 Rh 0.5000 0.5000 0.5000
Ti1 Ti 0.0000 0.0000 0.0000
```

## Properties
E above lowest polymorph	0.000	eV per atom
symmetry	Pm-3m (221)

~~~~~

(1)
Entry from the Alexandria database: a geometry-optimized HfSI2N structure (PBE).

Calculated values
- Formation energy without anion corrections: 249.9 meV/atom

Lattice parameters (Å, degrees): 5.896 5.896 3.986 90.00 90.00 90.00
Space group P4/mmm (No. 123)
One atom of each set of equivalent atoms:
********
- Community Wealth Building Business Locality Officers who work with local enterprises to drive a CWB approach to local economic development across Ayrshire.
- Fair Work Ayrshire which is a free service that works with employers across Ayrshire to support, enable, and empower them to implement Fair Work in the workplace. The aim is to improve prosperity among local people and position Ayrshire as a Fair Work region.
For more information, see Community Wealth Building
Supplier Development Programme
Do you find tendering for contracts with the public sector confusing? Would you like support and advice to assist your business in all aspects of procurement?
The Supplier Development Programme assists businesses to improve their performance in winning contracts with Public Sector Organisations. The programme offers information and support covering procurement issues and helps to unravel the tendering process.
Assistance is provided via:
- Workshops and events
- B-link, quarterly newsletter
- Website
- In-depth training
To access the full range of support simply register your business details with the Supplier Development Programme.
Business Beat e-newsletter
Published every two months by our Economy & Regeneration team, Business Beat provides information on funding and support available for your business, along with a round-up of relevant news, procurement opportunities and upcoming events.
To subscribe to the mailing list, please email
To see previous issues, please click below:
Find Business Support
The Find Business Support website directs your business to Scotland's public sector support. It gives customers an overview of all funding and services offered by public sector organisations across Scotland. This makes it quicker and easier for businesses to find the information, advice and support they need, when they need it.
Information is available for businesses of all sizes - from start-ups to established companies, from sole traders to large enterprises, from commercial businesses to social enterprises.
Gateway to Ayr Town Centre Shopfront Improvement Programme (GATCSIP)
The Gateway to Ayr Town Centre Shopfront Improvement Programme (GATCSIP) offers grants for eligible businesses, property owners, and tenants, with priority given to projects that enhance both the shopfront and surrounding streetscape. Eligible businesses must meet specific criteria and comply with any Conservation Area requirements.
Applicants are strongly encouraged to consult the Ayr Town Centre Shopfront Design Guide for valuable insights, design standards, and practical guidance to support their application.
You can read the Design guide here: Ayr Shop Front Design Guide (PDF, 7 MB)
Grant support from £1,000 to £12,000 is being provided to eligible businesses, property owners and tenants within the defined 'Gateways' to Ayr Town Centre.
To find out if your business is in the eligible area look at the New Bridge & High Street Gateway Map and the Burns Statue Square Gateway Map (see thumbnails below).
For more details, please read the Ayr Shop Front Grant - Guide for Applicants (PDF, 1 MB)
For information about preparing scale drawings and sign requirements, please read the Scale Drawing and Sign Guide (PDF, 3 MB)
Who is eligible to apply to the GATCSIP Grant?
You are eligible to apply if you meet one of the two criteria below:
- You are the owner of a business or premises within one of the defined 'Gateways' to Ayr.
Records of crystals from another source follow.
- - -
Compound: MgMn2Re
Source: the Alexandria database
Functional: GGA-PBE
Structure: relaxed

Results
- Size of the total moment: 0.9834 μB per atom
- E: -31.285 eV/cell
- E_form: 1.10 eV/f.u.
- Symmetry: Pm (6)
- Fermi-level density of states: 3.9 states/eV per cell

Cell lengths 4.3138, 2.6432, 4.9744 Å; angles 80.83, 90.00, 90.00 degrees
Closest atoms and distances in Å follow each position.
Sites, in units of the cell vectors:
Mg (0.5000, 0.7374, 0.7685)  4 Mn 2.60-2.63, 2 Mg 2.64, 2 Re 2.76
Mn (0.5000, 0.2414, 0.2687)  2 Re 2.51, 2 Mg 2.62-2.63, 4 Mn 2.64-2.66
Re (0.0000, 0.4835, 0.4720)  4 Mn 2.51-2.66, 2 Re 2.64, 2 Mg 2.76
Mn (0.0000, 0.0377, 0.9908)  3 Re 2.60-2.83, 2 Mg 2.60, 4 Mn 2.64-2.66

Compound: Mg2MnRe
Source: the Alexandria database
Functional: GGA-PBE
Structure: relaxed

Results
- Size of the total moment: 0.7345 μB per atom
- E: -23.447 eV/cell
- E above lowest polymorph: 229.2 meV per atom
- E_form: 1.36 eV/f.u.
- Symmetry: C2/m (12)
- Fermi-level density of states: 3.3 states/eV per cell

Cell lengths 5.2081, 5.3429, 2.6951 Å; angles 80.28, 80.14, 116.37 degrees
Closest atoms and distances in Å follow each position.
Sites, in units of the cell vectors:
Mg (0.0000, 0.0000, 0.0000)  4 Mg 2.70-2.72, 2 Re 2.78, 2 Mn 2.78
Mn (0.0000, 0.5000, 0.5000)  2 Mn 2.70, 2 Re 2.72, 4 Mg 2.78
Mg (0.5000, 0.0000, 0.5000)  4 Mg 2.70-2.72, 2 Mn 2.78, 2 Re 2.78
Re (0.5000, 0.5000, 0.0000)  2 Re 2.70, 2 Mn 2.72, 4 Mg 2.78

Compound: MgMn2Re
Source: the Alexandria database
Functional: GGA-PBE
Structure: relaxed

Results
- Size of the total moment: 0.7900 μB per atom
- E: -58.821 eV/cell
- E_form: 2.97 eV/f.u.
- Symmetry: I-42d (122)
- Fermi-level density of states: 6.3 states/eV per cell

Cell lengths 6.8981, 6.8981, 5.5634 Å; angles 51.69, 51.69, 90.00 degrees
Closest atoms and distances in Å follow each position.
Sites, in units of the cell vectors:
Mg (0.5000, 0.5000, 0.0000)  2 Re 2.68, 4 Mn 2.73
Mn (0.6670, 0.1250, 0.2500)  2 Re 2.34
Re (0.7500, 0.2500, 0.5000)  4 Mn 2.34
Mg (0.2500, 0.7500, 0.5000)  2 Re 2.68, 4 Mn 2.73
Re (0.0000, 0.0000, 0.0000)  4 Mn 2.34
Mn (0.8750, 0.9170, 0.7500)  2 Re 2.34
Mn (0.3750, 0.3330, 0.7500)  2 Re 2.34
Mn (0.0830, 0.6250, 0.2500)  2 Re 2.34

Compound: Mg2MnRe
Source: the Alexandria database
Functional: GGA-PBE
Structure: relaxed

Results
- Size of the total moment: 1.0855 μB per atom
- E: -22.514 eV/cell
- E above lowest polymorph: 462.2 meV per atom
- E_form: 2.29 eV/f.u.
- Symmetry: Fm-3m (225)
- Fermi-level density of states: 3.3 states/eV per cell

Cell lengths 4.5208, 4.5208, 4.5208 Å; angles 60.00, 60.00, 60.00 degrees
Closest atoms and distances in Å follow each position.
Sites, in units of the cell vectors:
Re (0.5000, 0.5000, 0.5000)  8 Mg 2.77
Mg (0.7500, 0.7500, 0.7500)  4 Re 2.77, 4 Mn 2.77
Mg (0.2500, 0.2500, 0.2500)  4 Re 2.77, 4 Mn 2.77
Mn (0.0000, 0.0000, 0.0000)  8 Mg 2.77

----------

## P
Ac2Nd6Sm | PBE | optimized geometry
- - -
- You are the leaseholder of a business or commercial premises within one of the defined 'Gateways' to Ayr and have two or more years remaining on your lease. Please note, proof of permission to apply for a grant will be required from your landlord.
To find out if your business is in the eligible area look at the New Bridge & High Street Gateway Map
(click on thumbnail)and the Burns Statue Square Gateway Map
(click on thumbnail).Types of businesses or premises who are eligible to apply include:
- Shops
- Hairdressers, Beauty Salons, and Tattoo Parlours
- Cafes, Restaurants, and Takeaways
- Public Houses
- Professional or Financial Services
- Tourism and Leisure Facilities
Who is not eligible to apply for the GATCSIP grant?
The following businesses are not eligible to apply:
- Businesses or premises not located within the defined 'Gateways' to Ayr (see the New Bridge & High Street Gateway Map and the Burns Statue Square Gateway Map - click on thumbnails above).
- Businesses within the defined 'Gateways' to Ayr who have less than two years remaining on their lease.
- Businesses that form part of a chain of five or more outlets.
- Businesses with a turnover of more than £1m in the previous tax year.
- Businesses that received a shopfront grant from South Ayrshire Council for the same property in the last 3 years.
- Properties that cannot be accessed directly from public roads or streets.
- Businesses with an unpaid or outstanding debt with the Council.
How to apply to the GATCSIP Grant
If you believe you are eligible to apply for this grant, you can do so via this link below:
Gateway to Ayr Town Centre Shopfront Improvement Programme Grant
### These data records were left in the text by mistake
........
[1]
A geometry-optimized ScOs2W structure, computed with PBE.

a = 10.616 Å, b = 2.898 Å, c = 4.660 Å
α = 90.00°, β = 115.52°, γ = 90.00°
Space group Cm (No. 8)
Unique sites:
Sc: 0.000 0.000 0.000 [2 per cell]
Os: 0.005 0.500 0.534 [2 per cell]
Os: 0.228 0.000 0.631 [2 per cell]
W: 0.276 0.500 0.181 [2 per cell]

* energy: -0.384 hartree per atom
* size of the total moment: 0.00 μB/f.u.

---

[2]
A geometry-optimized ScOsW2 structure, computed with PBE.

a = 2.823 Å, b = 4.523 Å, c = 5.219 Å
α = 90.00°, β = 102.00°, γ = 90.00°
Space group P2/m (No. 10)
Unique sites:
Sc: 0.000 0.000 0.000 [1 per cell]
Os: 0.500 0.000 0.500 [1 per cell]
W: 0.264 0.500 0.750 [2 per cell]

* energy: -0.398 hartree per atom
* size of the total moment: 0.00 μB/f.u.

---

[3]
A geometry-optimized ScOsW2 structure, computed with PBE.

a = 2.831 Å, b = 4.435 Å, c = 5.290 Å
α = 90.00°, β = 90.00°, γ = 90.00°
Space group Pmmm (No. 47)
Unique sites:
Sc: 0.000 0.000 0.000 [1 per cell]
Os: 0.000 0.000 0.500 [1 per cell]
W: 0.500 0.500 0.252 [2 per cell]

* energy: -0.390 hartree per atom
* size of the total moment: 0.00 μB/f.u.

---

[4]
A geometry-optimized Sc2OsW structure, computed with PBE.

a = 2.9935 Å, b = 2.9935 Å, c = 27.3436 Å
α = 90.00°, β = 90.00°, γ = 120.00°
Space group R-3m (No. 166, hexagonal axes)
Unique sites:
Sc: 0.0000 0.0000 0.2453 [6 per cell]
Os: 0.0000 0.0000 0.5000 [3 per cell]
W: 0.0000 0.0000 0.0000 [3 per cell]

* energy: -0.331 hartree per atom
* size of the total moment: 0.00 μB/f.u.

---

[5]
A geometry-optimized Sc3OsW structure, computed with PBE.

a = 4.945 Å, b = 4.945 Å, c = 4.945 Å
α = 90.00°, β = 90.00°, γ = 90.00°
Space group Pm-3m (No. 221)
Unique sites:
Sc: 0.000 0.000 0.500 [3 per cell]
Os: 0.000 0.000 0.000 [1 per cell]
W: 0.500 0.500 0.500 [1 per cell]

* energy: -0.288 hartree per atom
* size of the total moment: 3.19 μB/f.u.

---

[6]
A geometry-optimized ScOs2W structure, computed with PBE.

a = 2.790 Å, b = 2.790 Å, c = 8.449 Å
α = 90.00°, β = 90.00°, γ = 90.00°
Space group P4mm (No. 99)
Unique sites:
Sc: 0.000 0.000 0.000 [1 per cell]
Os: 0.000 0.000 0.535 [1 per cell]
Os: 0.500 0.500 0.737 [1 per cell]
W: 0.500 0.500 0.280 [1 per cell]

* energy: -0.380 hartree per atom
* size of the total moment: 0.00 μB/f.u.

---

Which of these has the lowest energy? number 2

---

energy of number 4 (Sc2OsW)? -0.331 hartree per atom

----------

1.
A crystal of Zn2ReRu relaxed with PBEsol. Source: Alexandria via LeMat-Bulk, functional SCAN.

Structure (extended XYZ):
```
4
Lattice="2.8178 0.0000 0.0000 0.0000 4.4766 0.0000 -1.4089 -2.2383 4.3827" Properties=species:S:1:pos:R:3 pbc="T T T"
Ru 0.0000 2.2383 0.0000
Zn 0.0000 0.0000 2.2325
Zn 1.4089 2.2383 2.1502
Re 1.4089 0.0000 0.0000
```

Results
E	-33.037	eV/atom
formation energy	0.20	eV/atom
polymorph energy (0 for the lowest one)	251.6	meV/atom

=====

2.
A crystal of Sr3TlZn relaxed with PBEsol. Source: Alexandria via LeMat-Bulk, functional SCAN.

Structure (extended XYZ):
```
5
........
Applications will close on Wednesday 30 April 2025 11:59pm.
What happens next?
On receipt of your completed application and other requested documentation, you should receive a response within 8 weeks.
If you have any questions, please contact us at